Assignment:
It remains to duplicate the block underneath unchanged.

Input:
'''
This entry pairs a crystal structure of YMnSi with its simulated X-ray diffraction stick pattern. Radiation: λ = 1.5418 Å (Cu Kα). Structure: a GGA-PBE-relaxed structure.
Lines closer than 0.1° are merged.

Structural model:
abc: 3.916 3.916 7.199
angles: 90.00 90.00 90.00
Positions (direct):
Y 0.250 0.250 0.169
Y 0.750 0.750 0.831
Mn 0.250 0.750 0.500
Mn 0.750 0.250 0.500
Si 0.250 0.250 0.700
Si 0.750 0.750 0.300

Principal peaks in the range 2θ from 10° to 90°, low angle first:
two_theta	I/Imax	index
25.90	58	1 0 1
32.33	24	1 1 0
33.83	95	1 0 2
34.71	84	1 1 1
37.48	31	0 0 3
41.13	100	1 1 2
46.37	66	2 0 0
56.25	28	1 0 4
58.62	37	2 1 2
61.08	28	2 0 3

This entry pairs a crystal structure of LaFeSi with its simulated X-ray diffraction stick pattern. Radiation: λ = 1.5418 Å (Cu Kα). Structure: a GGA-PBE-relaxed structure.
Lines closer than 0.1° are merged.

Structural model:
abc: 4.101 4.101 7.180
angles: 90.00 90.00 90.00
Positions (direct):
La 0.250 0.250 0.192
La 0.750 0.750 0.808
Fe 0.250 0.750 0.500
Fe 0.750 0.250 0.500
Si 0.250 0.250 0.655
Si 0.750 0.750 0.345

Principal peaks in the range 2θ from 10° to 90°, low angle first:
two_theta	I/Imax	index
25.00	100	1 0 1
30.83	31	1 1 0
33.16	64	1 0 2
33.32	38	1 1 1
39.96	79	1 1 2
44.16	51	2 0 0
51.42	29	2 1 1
55.92	24	1 0 4
56.33	27	2 1 2
73.87	21	2 1 4

This entry pairs a crystal structure of MoW3Se2S6 with its simulated X-ray diffraction stick pattern. Radiation: λ = 1.5418 Å (Cu Kα). Structure: a GGA-PBE-relaxed structure.
Lines closer than 0.1° are merged.

Structural model:
abc: 3.220 3.220 36.390
angles: 90.00 90.00 120.00
Positions (direct):
Mo 0.000 0.000 0.000
W 0.000 0.000 0.376
W 0.333 0.667 0.188
W 0.333 0.667 0.564
Se 0.333 0.667 0.047
Se 0.333 0.667 0.953
S 0.000 0.000 0.145
S 0.000 0.000 0.231
S 0.000 0.000 0.521
S 0.000 0.000 0.607
S 0.333 0.667 0.333
S 0.333 0.667 0.419

Principal peaks in the range 2θ from 10° to 90°, low angle first:
two_theta	I/Imax	index
12.16	100	0 0 5
14.61	29	0 0 6
32.12	24	1 0 0
32.49	12	0 1 2
32.96	15	1 0 3
34.45	13	1 0 5
37.85	52	1 0 8
45.94	30	0 1 13
47.84	12	1 0 14
57.24	16	1 1 0

This entry pairs a crystal structure of Y5Pb4 with its simulated X-ray diffraction stick pattern. Radiation: λ = 1.5418 Å (Cu Kα). Structure: a GGA-PBE-relaxed structure.
Lines closer than 0.1° are merged.

Structural model:
abc: 9.062 17.513 9.182
angles: 90.00 90.00 90.00
Positions (direct):
Y 0.027 0.100 0.181
Y 0.027 0.400 0.181
Y 0.120 0.617 0.339
Y 0.120 0.883 0.339
Y 0.210 0.250 0.502
Y 0.290 0.750 0.002
Y 0.380 0.117 0.839
Y 0.380 0.383 0.839
Y 0.473 0.600 0.681
Y 0.473 0.900 0.681
Y 0.527 0.100 0.319
Y 0.527 0.400 0.319
Y 0.620 0.617 0.161
Y 0.620 0.883 0.161
Y 0.710 0.250 0.998
Y 0.790 0.750 0.498
Y 0.880 0.117 0.661
Y 0.880 0.383 0.661
Y 0.973 0.600 0.819
Y 0.973 0.900 0.819
Pb 0.077 0.250 0.881
Pb 0.169 0.750 0.640
Pb 0.218 0.044 0.530
Pb 0.218 0.456 0.530
Pb 0.282 0.544 0.030
Pb 0.282 0.956 0.030
Pb 0.331 0.250 0.140
Pb 0.423 0.750 0.381
Pb 0.577 0.250 0.619
Pb 0.669 0.750 0.860
Pb 0.718 0.044 0.970
Pb 0.718 0.456 0.970
Pb 0.782 0.544 0.470
Pb 0.782 0.956 0.470
Pb 0.831 0.250 0.360
Pb 0.923 0.750 0.119

Principal peaks in the range 2θ from 10° to 90°, low angle first:
two_theta	I/Imax	index
20.52	64	1 3 1
26.59	100	1 3 2
26.73	44	2 3 1
27.66	43	2 0 2
28.16	35	0 4 2
30.00	56	2 4 1
30.63	33	0 6 0
31.23	97	3 0 1
38.60	39	1 7 1
40.38	39	1 5 3

This entry pairs a crystal structure of Be3Al2Si6HO18 with its simulated X-ray diffraction stick pattern. Radiation: λ = 1.5418 Å (Cu Kα). Structure: a GGA-PBE-relaxed structure.
Lines closer than 0.1° are merged.

Structural model:
abc: 9.301 9.301 9.294
angles: 90.00 90.00 120.00
Positions (direct):
Be 0.000 0.500 0.250
Be 0.000 0.500 0.750
Be 0.500 0.000 0.250
Be 0.500 0.000 0.750
Be 0.500 0.500 0.250
Be 0.500 0.500 0.750
Al 0.333 0.667 0.250
Al 0.333 0.667 0.750
Al 0.667 0.333 0.250
Al 0.667 0.333 0.750
Si 0.115 0.388 0.000
Si 0.115 0.728 0.500
Si 0.272 0.388 0.500
Si 0.272 0.885 0.000
'''

Here it is:
This entry pairs a crystal structure of YMnSi with its simulated X-ray diffraction stick pattern. Radiation: λ = 1.5418 Å (Cu Kα). Structure: a GGA-PBE-relaxed structure.
Lines closer than 0.1° are merged.

Structural model:
abc: 3.916 3.916 7.199
angles: 90.00 90.00 90.00
Positions (direct):
Y 0.250 0.250 0.169
Y 0.750 0.750 0.831
Mn 0.250 0.750 0.500
Mn 0.750 0.250 0.500
Si 0.250 0.250 0.700
Si 0.750 0.750 0.300

Principal peaks in the range 2θ from 10° to 90°, low angle first:
two_theta	I/Imax	index
25.90	58	1 0 1
32.33	24	1 1 0
33.83	95	1 0 2
34.71	84	1 1 1
37.48	31	0 0 3
41.13	100	1 1 2
46.37	66	2 0 0
56.25	28	1 0 4
58.62	37	2 1 2
61.08	28	2 0 3

This entry pairs a crystal structure of LaFeSi with its simulated X-ray diffraction stick pattern. Radiation: λ = 1.5418 Å (Cu Kα). Structure: a GGA-PBE-relaxed structure.
Lines closer than 0.1° are merged.

Structural model:
abc: 4.101 4.101 7.180
angles: 90.00 90.00 90.00
Positions (direct):
La 0.250 0.250 0.192
La 0.750 0.750 0.808
Fe 0.250 0.750 0.500
Fe 0.750 0.250 0.500
Si 0.250 0.250 0.655
Si 0.750 0.750 0.345

Principal peaks in the range 2θ from 10° to 90°, low angle first:
two_theta	I/Imax	index
25.00	100	1 0 1
30.83	31	1 1 0
33.16	64	1 0 2
33.32	38	1 1 1
39.96	79	1 1 2
44.16	51	2 0 0
51.42	29	2 1 1
55.92	24	1 0 4
56.33	27	2 1 2
73.87	21	2 1 4

This entry pairs a crystal structure of MoW3Se2S6 with its simulated X-ray diffraction stick pattern. Radiation: λ = 1.5418 Å (Cu Kα). Structure: a GGA-PBE-relaxed structure.
Lines closer than 0.1° are merged.

Structural model:
abc: 3.220 3.220 36.390
angles: 90.00 90.00 120.00
Positions (direct):
Mo 0.000 0.000 0.000
W 0.000 0.000 0.376
W 0.333 0.667 0.188
W 0.333 0.667 0.564
Se 0.333 0.667 0.047
Se 0.333 0.667 0.953
S 0.000 0.000 0.145
S 0.000 0.000 0.231
S 0.000 0.000 0.521
S 0.000 0.000 0.607
S 0.333 0.667 0.333
S 0.333 0.667 0.419

Principal peaks in the range 2θ from 10° to 90°, low angle first:
two_theta	I/Imax	index
12.16	100	0 0 5
14.61	29	0 0 6
32.12	24	1 0 0
32.49	12	0 1 2
32.96	15	1 0 3
34.45	13	1 0 5
37.85	52	1 0 8
45.94	30	0 1 13
47.84	12	1 0 14
57.24	16	1 1 0

This entry pairs a crystal structure of Y5Pb4 with its simulated X-ray diffraction stick pattern. Radiation: λ = 1.5418 Å (Cu Kα). Structure: a GGA-PBE-relaxed structure.
Lines closer than 0.1° are merged.

Structural model:
abc: 9.062 17.513 9.182
angles: 90.00 90.00 90.00
Positions (direct):
Y 0.027 0.100 0.181
Y 0.027 0.400 0.181
Y 0.120 0.617 0.339
Y 0.120 0.883 0.339
Y 0.210 0.250 0.502
Y 0.290 0.750 0.002
Y 0.380 0.117 0.839
Y 0.380 0.383 0.839
Y 0.473 0.600 0.681
Y 0.473 0.900 0.681
Y 0.527 0.100 0.319
Y 0.527 0.400 0.319
Y 0.620 0.617 0.161
Y 0.620 0.883 0.161
Y 0.710 0.250 0.998
Y 0.790 0.750 0.498
Y 0.880 0.117 0.661
Y 0.880 0.383 0.661
Y 0.973 0.600 0.819
Y 0.973 0.900 0.819
Pb 0.077 0.250 0.881
Pb 0.169 0.750 0.640
Pb 0.218 0.044 0.530
Pb 0.218 0.456 0.530
Pb 0.282 0.544 0.030
Pb 0.282 0.956 0.030
Pb 0.331 0.250 0.140
Pb 0.423 0.750 0.381
Pb 0.577 0.250 0.619
Pb 0.669 0.750 0.860
Pb 0.718 0.044 0.970
Pb 0.718 0.456 0.970
Pb 0.782 0.544 0.470
Pb 0.782 0.956 0.470
Pb 0.831 0.250 0.360
Pb 0.923 0.750 0.119

Principal peaks in the range 2θ from 10° to 90°, low angle first:
two_theta	I/Imax	index
20.52	64	1 3 1
26.59	100	1 3 2
26.73	44	2 3 1
27.66	43	2 0 2
28.16	35	0 4 2
30.00	56	2 4 1
30.63	33	0 6 0
31.23	97	3 0 1
38.60	39	1 7 1
40.38	39	1 5 3

This entry pairs a crystal structure of Be3Al2Si6HO18 with its simulated X-ray diffraction stick pattern. Radiation: λ = 1.5418 Å (Cu Kα). Structure: a GGA-PBE-relaxed structure.
Lines closer than 0.1° are merged.

Structural model:
abc: 9.301 9.301 9.294
angles: 90.00 90.00 120.00
Positions (direct):
Be 0.000 0.500 0.250
Be 0.000 0.500 0.750
Be 0.500 0.000 0.250
Be 0.500 0.000 0.750
Be 0.500 0.500 0.250
Be 0.500 0.500 0.750
Al 0.333 0.667 0.250
Al 0.333 0.667 0.750
Al 0.667 0.333 0.250
Al 0.667 0.333 0.750
Si 0.115 0.388 0.000
Si 0.115 0.728 0.500
Si 0.272 0.388 0.500
Si 0.272 0.885 0.000